Searching for Clues: Underground Oil Storage Tanks

Here the page breaks off for data records:
=====
Density functional theory data (the ωB97M-V functional and the def2-TZVPD basis) for a molecular structure, C21H23CsN9O3PS2.

Each line ends with the Löwdin charge.
Element x y z (Å)
Cs  1.1086  -2.4477  0.4864  0.969
C  -3.0176  -3.5212  -3.9526  -0.081
N  -2.2400  -4.0012  -2.8323  -0.154
C  -2.2560  -5.2896  -2.3598  -0.108
C  -1.3739  -5.3186  -1.3196  -0.152
N  -0.8220  -4.0831  -1.1482  -0.016
C  -1.3414  -3.2937  -2.0633  -0.516
P  -1.0791  -1.5114  -2.4256  1.023
C  0.6460  -1.5498  -3.0668  -0.529
N  1.7406  -2.1573  -2.6071  -0.035
C  2.8027  -1.6046  -3.2712  -0.185
C  2.3835  -0.6097  -4.1014  -0.118
N  1.0186  -0.5651  -3.9682  -0.172
C  0.1315  0.2759  -4.7306  -0.083
C  -1.8424  -0.7204  -0.5454  -0.387
N  -1.7135  -0.9877  0.7483  -0.040
C  -2.1748  0.0965  1.4400  -0.200
C  -2.5525  1.0753  0.5676  -0.113
N  -2.3332  0.5564  -0.6884  -0.175
C  -2.5298  1.2979  -1.9120  -0.089
H  -3.5989  -4.3554  -4.3464  0.073
H  -2.3658  -3.1297  -4.7330  0.069
H  -3.6924  -2.7235  -3.6439  0.072
H  -2.8877  -6.0451  -2.7967  0.092
H  -1.0983  -6.1419  -0.6805  0.095
H  3.8149  -1.9459  -3.1085  0.085
H  2.9152  0.1009  -4.7112  0.091
H  0.7006  0.7726  -5.5177  0.076
H  -0.3342  1.0382  -4.1012  0.061
H  -0.6634  -0.3206  -5.1819  0.065
H  -2.2020  0.1217  2.5210  0.081
H  -2.8724  2.0929  0.7145  0.096
H  -3.1144  2.1916  -1.6900  0.075
H  -3.0543  0.6964  -2.6536  0.060
H  -1.5694  1.6119  -2.3303  0.068
N  -1.6164  4.2604  5.6586  0.062
C  -0.7584  3.8781  4.6000  -0.340
C  -0.0175  4.8387  3.9134  -0.054
C  0.8491  4.4601  2.9016  -0.066
C  0.9864  3.1213  2.5598  -0.267
C  0.2562  2.1626  3.2418  -0.051
C  -0.6098  2.5397  4.2592  -0.039
S  2.0702  2.6627  1.2088  0.508
O  1.3487  3.0292  0.0116  -0.337
O  3.3056  3.3908  1.4588  -0.399
N  2.1864  1.1081  1.3171  -0.157
C  3.1169  0.4933  2.0812  -0.709
S  4.4156  1.2837  3.0058  0.973
C  4.9173  -0.2689  3.5840  -0.464
C  4.1289  -1.2305  3.0530  -0.283
N  3.1308  -0.8109  2.2189  -0.058
H  -2.0079  5.1807  5.5217  0.068
H  -2.3586  3.5921  5.8066  0.071
H  -0.1193  5.8857  4.1819  0.098
H  1.4316  5.2030  2.3711  0.111
H  0.3597  1.1232  2.9579  0.108
H  -1.1797  1.7832  4.7886  0.106
H  5.7580  -0.3857  4.2485  0.034
H  4.2218  -2.2931  3.2344  0.099
O  1.6515  -4.6126  1.8254  -1.013

The calculation puts the calculated total energy at -2690.31720 Ha. As for the spin multiplicity: 1. The calculation puts the energy above the lowest of the compared OMol25 structures with the same formula, charge and spin at 0.0 kJ/mol. The value obtained for the HOMO energy (spin up / spin down) is -0.067 / 0.008 Ha. Its orbital gap (spin up / spin down) is 5.8 / 3.8 eV. The net charge is -2.

----------

1 | Molecular formula: C2H3NO2
Method: DFT, wB97M-V/def2-TZVPD

Geometry (Å):
O (-2.3166, 0.0604, -0.1762)
C (-1.1420, -0.0848, -0.4144)
N (-0.1433, -0.0064, 0.5270)
C (1.2368, -0.0039, 0.1332)
O (1.7765, 0.9579, -0.3310)
H (-0.7568, -0.3245, -1.4226)
H (-0.3960, 0.3792, 1.4308)
=====

Do you know that today’s kids still watch Scooby Do0? I remember watching the animated who-done-it show when I was a kid. It featured a quartet of teenage amateur detectives and their loyal, talking dog, Scooby-Doo, solving mysteries during each episode. One of the catchphrases the protagonist, Fred Jones (I bet you didn’t know he had a last name), would say every episode was, “Hey gang! Let’s split up and look for clues!” Today’s post comes under Fred’s divide-and-conquer, clue searching spirit. Here’s some signs or clues to whether you think you might have an underground oil storage tank under your home.

If you are thinking of purchasing or are currently living in a home built before the mid 1960’s it may have an underground storage tank.  Many homes built before the mid 1960’s used oil as a fuel to heat. Some homes had above ground storage tanks, but many used underground storage tanks (UST’s). Many home owners don’t know that they have an underground storage tank since the tank may not be visible. The main problem with UST’s is corrosion and leaks. The tanks were primarily made of steel which corrodes over time. On average, steel tanks develop holes and leaks between 20 or 30 years. Most of the tanks installed in the 60’s or before are now more than 50 years old, so leaks are a high probability. This leads to oil leaching into the ground, which then can contaminate ground and well water. 

How will you know if there is an underground oil tank on the property? Typically, you will see fill and vent pipes sticking out of the ground. They may be a distance from the home or could be right next to the home at the foundation (see photos below).


If this is not the case, you can investigate the basement or crawl space of your home. Look for old pipes that were used to supply oil to the furnace or an old furnace itself that may be abandoned in the crawl space or basement. During a recent home inspection, I found old oil furnaces that were abandoned in the basement and no longer in use.  The oil tank was later located buried under a deck (see photos below). 

(Quantum chemistry results that have nothing to do with the article)
____________
(1)
____________


Sometimes the previous owners may have cut the fill and vent pipes flush with the ground because they were unsightly. You may have to look for uneven depressions or humps in the ground where a tank could be buried.  If you are still suspicious of an area, and no fill cap or depressions can be located, you may want to rent a metal detector to try and locate the tank.

Typical signs of an oil spill or leak from an UST include stains on the soil which present as a greenish gray color, petroleum odors, puddles of oil on the soil or dead vegetation around the suspected area. All these signs can occur if water has entered a UST, because oil is lighter than water and will float on the top until the oil exits the tank through the fill or vent pipe.

Hopefully, this was beneficial to you as you solve the mystery of whether or not there’s an underground oil storage tank below your home. It’s important to determine if a home has an underground storage tank.  The removal of underground storage tanks can be expensive, especially if they have leaked.  Also, they can be an environmental hazard. If the tanks are no longer in use, they should either be removed or filled. Both options should be performed by contractors that specialize in UST’s.  For more information, please visit the NC Department of Environmental Quality (NCDEQ)